Task Schedule Options

Menu Path: None

To use Task Schedule Options, perform one of the following:


Update Scheduling Assistant tasks.


Use Task Schedule Options to submit a Scheduling Assistant task for a date or for a range of days along with a time to run the task. The options in the Task Schedule Options window are also available in all windows that allow you to select process options.

Scheduling Tasks

To schedule a task:

  1. If the task will output a report, select an output option. If you are outputting to a file, select the file type and file name. If you are outputting to a printer, select the printer and page length. If you are outputting to email, enter the email address of the recipient.

  2. Select the time and date for the processing to start. If the task is a recurring task, select how often the task occurs.

  3. If the task is triggered by another task, enter the triggering task.

  4. Click the OK button in the ribbon.

Ribbon Home Tab Buttons




Click this button to close the Task Schedule Options window, and save your changes.


Click this button to close the Task Schedule Options window without saving your changes.

General Tab Fields and Buttons

Field or Button


Output Option

Select one of the following output options:

  • File - Output to a specified file to be stored for later use. If you select this option, specify the output file name and location in the Output File Name field.

  • Printer - Output to a selected printer. If you select this option, specify a printer in the Printer field and the page length in the Page Length field.

  • Email - Output to your default email application.

  • Export to Excel - Output directly to Excel. You can specify the location of the Excel application in the Spreadsheet File field in User Profile Maintenance.

  • Contact - Output to customer contacts via your default email application. If you select this option, when you click the Print button in the ribbon, Output Option Selection appears, and allows you to select an output option for customers or suppliers without contacts. This option is only available for tasks that can be output to contacts.

Note These radio buttons are only enabled if you accessed this window from Scheduling Assistant Management, and if the task will output a report.

Output File Type

Select whether to output to a PDF, Excel, Access, or delimited (CSV, DAT, or TXT) file. These radio buttons are only enabled if the File radio button is selected.

Specify File Name

Select this check box to specify the file name of the output file. This check box is only available if the File radio button is selected.

=====
No. 1
The following is a calculated powder X-ray diffraction pattern of Pm2GeAu. It was derived from a crystal structure in the Materials Project, relaxed with GGA-PBE, using Cu Ka.
Lines closer than 0.1° are merged.

The 7 most intense peaks (2θ from 5° to 70°), low angle first:
2θ = 20.85°, I = 10; 2θ = 34.38°, I = 100; 2θ = 40.55°, I = 6; 2θ = 49.41°, I = 18; 2θ = 54.19°, I = 3; 2θ = 61.58°, I = 37; 2θ = 65.76°, I = 2

Structural model:
Cell lengths 7.378, 7.378, 7.378 Å; angles 90.00, 90.00, 90.00 degrees
Element x y z (fractional)
Pm1 0.250 0.250 0.250
Pm2 0.250 0.250 0.750
Pm3 0.250 0.750 0.250
Pm4 0.250 0.750 0.750
Pm5 0.750 0.250 0.250
Pm6 0.750 0.250 0.750
Pm7 0.750 0.750 0.250
Pm8 0.750 0.750 0.750
Ge1 0.000 0.000 0.000
Ge2 0.000 0.500 0.500
Ge3 0.500 0.000 0.500
Ge4 0.500 0.500 0.000
Au1 0.000 0.000 0.500
Au2 0.000 0.500 0.000
Au3 0.500 0.000 0.000
Au4 0.500 0.500 0.500

---

No. 2
The following is a calculated powder X-ray diffraction pattern of PrGeAu. It was derived from a crystal structure in the Materials Project, relaxed with GGA-PBE, using Cu Ka.
Lines closer than 0.1° are merged.

The 12 most intense peaks (2θ from 5° to 70°), low angle first:
2θ = 22.47°, I = 8; 2θ = 25.37°, I = 30; 2θ = 32.16°, I = 100; 2θ = 39.86°, I = 65; 2θ = 41.27°, I = 14; 2θ = 45.88°, I = 12; 2θ = 46.24°, I = 7; 2θ = 47.84°, I = 6; 2θ = 52.11°, I = 26; 2θ = 62.37°, I = 28; 2θ = 63.39°, I = 7; 2θ = 67.55°, I = 24

Structural model:
Cell lengths 4.523, 4.523, 7.912 Å; angles 90.00, 90.00, 120.00 degrees
Element x y z (fractional)
Pr1 0.000 0.000 0.000
Pr2 0.000 0.000 0.500
Ge1 0.333 0.667 0.216
Ge2 0.667 0.333 0.716
Au1 0.333 0.667 0.767
Au2 0.667 0.333 0.267

---

No. 3
The following is a calculated powder X-ray diffraction pattern of Pr2Ge6Au. It was derived from a crystal structure in the Materials Project, relaxed with GGA-PBE, using Cu Ka.
Lines closer than 0.1° are merged.

The 12 most intense peaks (2θ from 5° to 70°), low angle first:
2θ = 7.84°, I = 33; 2θ = 22.43°, I = 11; 2θ = 31.83°, I = 32; 2θ = 32.26°, I = 100; 2θ = 35.08°, I = 10; 2θ = 41.23°, I = 19; 2θ = 41.96°, I = 22; 2θ = 42.71°, I = 24; 2θ = 42.95°, I = 24; 2θ = 54.44°, I = 14; 2θ = 61.42°, I = 15; 2θ = 62.18°, I = 16

Structural model:
Cell lengths 4.234, 11.467, 11.467 Å; angles 21.16, 90.00, 90.00 degrees
Element x y z (fractional)
Pr1 0.000 0.000 0.000
Pr2 0.000 0.337 0.337
Ge1 0.000 0.602 0.602
Ge2 0.000 0.713 0.713
Ge3 0.500 0.101 0.101
Ge4 0.500 0.213 0.213
Ge5 0.500 0.455 0.455
Ge6 0.500 0.891 0.891
Au1 0.500 0.780 0.780

---

No. 4
The following is a calculated powder X-ray diffraction pattern of Rb3Ge4Au. It was derived from a crystal structure in the Materials Project, relaxed with GGA-PBE, using Cu Ka.
Lines closer than 0.1° are merged.

The 12 most intense peaks (2θ from 5° to 70°), low angle first:
=====

Excel Format Name

Enter an Excel format name, or click the Lookup button to select an Excel format name. Excel formats can be set up to specify which fields are output to Excel, and the order and sort order of the fields. This field is only available if you select the Excel or Export to Excel radio button.

Format Maintenance

Click this button to display Excel Format Maintenance, which allows you to set up Excel formats. This button is only available if you select the Excel or Export to Excel radio button.

Output Directory

Enter the location for the output file, or click the Lookup button to navigate to and select a location. This field is only available if the Specify File Name check box is cleared.

Output File Name

Enter an output file name for the task. This field is only available if you select the Specify File Name check box..

Save As Type

Click the Lookup button to select whether to save the delimited file as a CSV, DAT, or TXT file. This field is only available if you select the Delimited radio button, and only enabled if the Specify File Name check box is cleared.

Include header

Select this check box to include a row of header information in the exported delimited file, which labels the data. This check box is only available if you select the Delimited radio button.


Enter a comma (,), caret (^), or vertical bar (|) as a delimiter for the exported delimited file. This field is only available if you select the Delimited radio button.

Enclosing Character

If you want to use single or double quotation marks around data exported to a delimited file, enter ' or " in this field. Even if this field is left blank, text fields that have commas or carriage returns are enclosed in quotes. This field is only available if you select the Delimited radio button.


Click the Lookup button to select a printer. This field is only enabled if you select the Printer radio button.

Page Length

Enter the page length. This field is only enabled if you select the Printer radio button.


Click the Lookup button to select an email address from your address book. This Lookup button is only enabled if you select the Email radio button.

Task Occurs

One of the following options is selected:

  • Once - Output the task at a specified date and time.

  • Every - Output the task on a recurring basis.

  • After - Output the task after a specified task is completed.

Task Occurs

Select one of the following:

  • Day of Week - Output the task every week on the selected days.

  • Days - Output the task after a specified number of days, starting on a specified date.

  • Month - Output the task on the first or last day of each month, starting on a specified date.

  • Time - Output the task after a specified number of minutes, starting on a specified date.

These radio buttons are only enabled if you select the Every radio button.

Day of Week

Select the day(s) of the week to output the task.

These check boxes are only enabled if you select the Every or Next radio button.

Repeat Every X Days

Enter a number of days after which to output the task. This field is only available if you select the Days radio button.

Repeat On

Click the Lookup button and select whether to output the task on the first or last day of the month. This field is only available if you select the Month radio button.

Repeat Every X Minutes

Enter a number of minutes after which to output the task. This field is only available if you select the Time radio button.


Enter the time to output the job, and select AM or PM.


Enter the date or first date to output the task. This field is only available if you Once or Every radio button is selected.

Triggering Task Id

Click the Lookup button to select a task ID that will trigger the task. This field is only available if the After radio button is selected.

Triggering Task Name

This field displays the name of the triggering task. This field is only available if the After radio button is selected.

Triggering Task Description

This field displays the description of the triggering task. This field is only available if the After radio button is selected.

Task Description

Enter a description of the task. This can help users understand the purpose of a recurring task.

Scheduling Assistant Queue

Enter an active Scheduling Assistant queue for the task, or click the Lookup button to select a Scheduling Assistant queue. This defaults to the default queue for your user ID. This field is only enabled if you select the Schedule radio button, and you are assigned to a queue other than the Default queue.

External Email

Select this check box to send an email (outside of Apprise, using SMTP) when the task is completed.

Screen Alert

Select this check box to display an alert when the task is completed.

Internal Email

Select this check box to send an internal Apprise email when the task is completed.